# Contents
+++
1.
Computed, not measured: a relaxed La3Co4 crystal at the GGA-PBE level of DFT.

a = 4.013 Å, b = 4.184 Å, c = 9.288 Å
α = 103.02°, β = 102.48°, γ = 89.96°
Positions (direct):
Co (0.066, 0.566, 0.132)
Co (0.934, 0.434, 0.868)
Co (0.370, 0.370, 0.740)
Co (0.630, 0.630, 0.260)
La (0.500, 0.000, 0.000)
La (0.817, 0.817, 0.633)
La (0.183, 0.183, 0.367)

Values from the calculation:
DFT formation energy: -7.0 kJ per mole of atoms
Total moment: 1.8 μB/f.u.
Distance to the lowest polymorph of the same formula: 0.0 meV per atom
Space-group type: Immm (71)

2.
Computed, not measured: a relaxed Sb2Ru3 crystal at the GGA-PBE level of DFT.

a = 4.342 Å, b = 4.342 Å, c = 5.570 Å
α = 90.00°, β = 90.00°, γ = 120.00°
Positions (direct):
Ru (0.000, 0.000, 0.000)
Ru (0.333, 0.667, 0.320)
Ru (0.667, 0.333, 0.680)
Sb (0.333, 0.667, 0.792)
Sb (0.667, 0.333, 0.208)

Values from the calculation:
Total moment: 0.0 μB/f.u.
Energy relative to the elements, uncorrected: 0.13 eV/atom
Space-group type: P-3m1 (164)

Please write out number 2 again, unchanged.
Computed, not measured: a relaxed Sb2Ru3 crystal at the GGA-PBE level of DFT.

a = 4.342 Å, b = 4.342 Å, c = 5.570 Å
α = 90.00°, β = 90.00°, γ = 120.00°
Positions (direct):
Ru (0.000, 0.000, 0.000)
Ru (0.333, 0.667, 0.320)
Ru (0.667, 0.333, 0.680)
Sb (0.333, 0.667, 0.792)
Sb (0.667, 0.333, 0.208)

Values from the calculation:
Total moment: 0.0 μB/f.u.
+++
# To do
Could you filter the notes further up: keep the lines with the word "measured"?
# Here it is
Computed, not measured: a relaxed La3Co4 crystal at the GGA-PBE level of DFT.
Computed, not measured: a relaxed Sb2Ru3 crystal at the GGA-PBE level of DFT.
Computed, not measured: a relaxed Sb2Ru3 crystal at the GGA-PBE level of DFT.